Rute Alexandra Borges de Almeida's Annual Report

Rute Alexandra Borges de Almeida's Annual Report



Brief description of the research activities: 

Work was developed regarding 4 main research lines, as briefly explained below.
Development and validation of tools for biomedical signal processing. Enhancement of the QRS detection method for performance improvement in no-stationary conditions (stress test case), in collaboration with the University of Zaragoza, by optimizing the parameter values. Results were presented in the International Conference Computing in Cardiology 2014 (CinC2014), and published in the respective proceedings.
Monitoring and data analysis in intensive care. Continued to collect and preprocess data from patients admitted in the pediatric intensive care unit of Hospital S. João (Porto) in order to increase the signal and series database of brain injured (BI) patients. Long memory and heterocedasticity of beat-to-beat RR series from pediatric patients with BI were studied using ARFIMA-GARCH models allowing to conclude that both long memory and time-varying conditional variance parameters estimated are able to discriminate in an early timing between the patients that died from those that survived. Differences found were reported at CinC2014 and published in the respective proceedings. Additionally was made an open communication at Cardiotechnix 2014, 25-25 October 2014, Rome Italy (AP Rocha, R Almeida, Arfima-Garch Modelling of HRV: Application to Critical Illness). A PIM project “Projecto de Investigação em Matemática” of the PDMA “Programa Doutoral em Matemática Aplicada” from DMAT/FCUP provisory entitled “Auxiliary Prognostic Indexes in Critical Illness” was proposed and developed by the PhD student António Paulo Sousa, under my orientation and co-orientation of Ana Paula Rocha (DMAT-FCUP/CMUP). This project aims to define a research path to follow in the next 3 years aiming: to study and model ECG derived measures and other standard parameters used in the monitoring of the critically ill patients, over different degrees of neurologic disruption; identify and select variables to include in prognostic statistical models; assess the reproducibility and agreement of both parameters and proposed indexes using statistical measures and evaluate the effectiveness / reliability of the developed indexes using real clinical data.
Signal Processing in Obstetrics. The new wavelet based methodology for fetal QRS location over abdominal maternal recordings was enhanced and validated on the datasets provide by the Noninvasive Fetal ECG: the PhysioNet/Computing in Cardiology Challenge 2013 and other public available data. A full was published in a focus issue: Noninvasive Fetal ECG of the journal “Physiological Measurement”.
Automatic analysis of high resolution satellite data. A multivariate model based in Independent Component Analysis (ICA) for estimate the bathymetric value Douro River estuary (Porto, Portugal) from an IKONOS-2 image was developed and validated, outperforming previously published approaches. Results obtained were reported at the Conference on Remote Sensing for Agriculture, Ecosystems, and Hydrology, part of SPIE Remote Sensing 2014 and published in the respective proceedings.

External projects: 

Title: Procesado de señal orientado por la fisiología para manejo personalizado del riesgo cardiovascular y guiado de procedimientos invasivos. (TEC2013-42140-R, CICYT/FEDER, Spain)
Coordinator/ Institution: Juan Pablo Martínez Cortez / I3A, Universidade de Zaragoza (Spain)
Other institutions: Instituto de Investigación en Ingeniería en Aragón (Spain)
Centre de Recerca d’Enginyeria Biomédica (CREB) (Spain)
Universitat Potécnica de Catalunya (Spain)
Hospital Clínico Universitario “Lozano Blesa” de Zaragoza (Spain)
Hospital Miguel Servet de Zaragoza (Spain)
Lund University (Sweden)
Universidad de Buenos Aires (Argentina)

Title: Evaluation of changes in ventricular repolarization and its relationship with heart rate during bed-rest experiments. (AO-09-BR European Space Agency) Coordinator/ Institution: Enrico G. Caiani, Politecnico di Milano (Italia); Other participating institutions: GTC/I3A - UZ (Spain), CIBER-BBN (Spain), University of Bologna (Italy), Université Victor Segalen Bordeaux Université Paris Sud. (France)

Unrelated to this piece: materials data
1.
# BCl

Crystalline BCl at its relaxed geometry (PBE-GGA, the Materials Project).

a b c (Å): 12.600 12.600 12.600
angles (deg): 90.00 90.00 90.00
Fractional positions:
1 B 0.025 0.035 0.131
2 B 0.025 0.465 0.631
3 B 0.035 0.131 0.025
4 B 0.035 0.369 0.525
5 B 0.060 0.596 0.578
6 B 0.060 0.904 0.078
7 B 0.078 0.060 0.904
8 B 0.078 0.440 0.404
9 B 0.096 0.578 0.440
10 B 0.096 0.922 0.940
11 B 0.131 0.025 0.035
12 B 0.131 0.475 0.535
13 B 0.369 0.525 0.035
14 B 0.369 0.975 0.535
15 B 0.404 0.078 0.440
16 B 0.404 0.422 0.940
17 B 0.422 0.560 0.904
18 B 0.422 0.940 0.404
19 B 0.440 0.096 0.578
20 B 0.440 0.404 0.078
21 B 0.465 0.631 0.025
22 B 0.465 0.869 0.525
23 B 0.475 0.535 0.131
24 B 0.475 0.965 0.631
25 B 0.525 0.035 0.369
26 B 0.525 0.465 0.869
27 B 0.535 0.131 0.475
28 B 0.535 0.369 0.975
29 B 0.560 0.596 0.922
30 B 0.560 0.904 0.422
31 B 0.578 0.060 0.596
32 B 0.578 0.440 0.096
33 B 0.596 0.578 0.060
34 B 0.596 0.922 0.560
35 B 0.631 0.025 0.465
36 B 0.631 0.475 0.965
37 B 0.869 0.525 0.465
38 B 0.869 0.975 0.965
39 B 0.904 0.078 0.060
40 B 0.904 0.422 0.560
41 B 0.922 0.560 0.596
42 B 0.922 0.940 0.096
43 B 0.940 0.096 0.922
44 B 0.940 0.404 0.422
45 B 0.965 0.631 0.475
46 B 0.965 0.869 0.975
47 B 0.975 0.535 0.369
48 B 0.975 0.965 0.869
49 Cl 0.048 0.069 0.264
50 Cl 0.048 0.431 0.764
51 Cl 0.069 0.236 0.548
52 Cl 0.069 0.264 0.048
53 Cl 0.121 0.693 0.657
54 Cl 0.121 0.807 0.157
55 Cl 0.157 0.121 0.807
56 Cl 0.157 0.379 0.307
57 Cl 0.193 0.657 0.379
58 Cl 0.193 0.843 0.879
59 Cl 0.236 0.548 0.069
60 Cl 0.236 0.952 0.569
61 Cl 0.264 0.048 0.069
62 Cl 0.264 0.452 0.569
63 Cl 0.307 0.157 0.379
64 Cl 0.307 0.343 0.879
65 Cl 0.343 0.621 0.807
66 Cl 0.343 0.879 0.307
67 Cl 0.379 0.193 0.657
68 Cl 0.379 0.307 0.157
69 Cl 0.431 0.736 0.548
70 Cl 0.431 0.764 0.048
71 Cl 0.452 0.569 0.264
72 Cl 0.452 0.931 0.764
73 Cl 0.548 0.069 0.236
74 Cl 0.548 0.431 0.736
75 Cl 0.569 0.236 0.952
76 Cl 0.569 0.264 0.452
77 Cl 0.621 0.693 0.843
78 Cl 0.621 0.807 0.343
79 Cl 0.657 0.121 0.693
80 Cl 0.657 0.379 0.193
81 Cl 0.693 0.657 0.121
82 Cl 0.693 0.843 0.621
83 Cl 0.736 0.548 0.431
84 Cl 0.736 0.952 0.931
85 Cl 0.764 0.048 0.431
86 Cl 0.764 0.452 0.931
87 Cl 0.807 0.157 0.121
88 Cl 0.807 0.343 0.621
89 Cl 0.843 0.621 0.693
90 Cl 0.843 0.879 0.193
91 Cl 0.879 0.193 0.843
92 Cl 0.879 0.307 0.343
93 Cl 0.931 0.736 0.952
94 Cl 0.931 0.764 0.452
95 Cl 0.952 0.569 0.236
96 Cl 0.952 0.931 0.736

## Properties
magnetization: 0.01 μB/f.u.

***

2.
# BCl

Crystalline BCl at its relaxed geometry (PBE-GGA, the Materials Project).

a b c (Å): 8.268 13.569 14.589
angles (deg): 90.00 90.00 90.00
Fractional positions:
1 B 0.013 0.005 0.045
2 B 0.014 0.437 0.353
3 B 0.046 0.063 0.169
4 B 0.124 0.898 0.068
5 B 0.136 0.111 0.069
6 B 0.194 0.946 0.173
7 B 0.243 0.928 0.656
8 B 0.248 0.996 0.553
9 B 0.252 0.004 0.053
10 B 0.257 0.072 0.156
11 B 0.306 0.054 0.673
12 B 0.364 0.889 0.569
13 B 0.376 0.102 0.568
14 B 0.454 0.937 0.669
15 B 0.486 0.563 0.853
16 B 0.487 0.995 0.545

Title: Evaluation of changes in cardiac repolarization during bed rest experiments. (AO-06-BR-08 European Space Agency) Coordinator/ Institution: Enrico G. Caiani, Politecnico di Milano (Italia); Other participating institutions: GTC/I3A - UZ (Spain), CIBER-BBN (Spain), Université Victor Segalen Bordeaux 2 (France), Université Paris Sud. (France)

Title: CIBER en bioingeniería, biomateriales y nanomedicina (CIBER-BBN) (Financiated by Instituto de Salud Carlos III. Ministerio de Sanidad y Consumo, Spain) Coordinator/ Institution: Pablo Laguna Lasaosa, GTC/I3A - UZ e Ciber – BBN (Spain); Other participating institutions: 50 Spanish research groups, 47 of which are full members and 3 of which are associates.

Title: Grupo Consolidado BSICoS (T-96, DGA, Aragón, Spain, and European Social Fund - EU).
Coordinator/ Institution: Pablo Laguna / GTC, Universidade de Zaragoza (Spain)
Other institutions: Instituto de Investigación en Ingeniería en Aragón (Spain)

Title: QT-bed: Evaluation of changes in ventricular repolarization and its relationship with heart rate during long-term bed rest
(AO-13-BR-14 European Space Agency - Annoucemet of Opportunity for Life Science Research Using the Human Spaceflight Analogue “Bed Rest” )
Coordinator/ Institution: Enrico G. Caiani / Politecnico di Milano
Other institutions: Instituto de Investigación en Ingeniería de Aragón (Spain)
Politecnico di Milano (Italy)
University of Bologna (Italy
Université Victor Segalen Bordeaux
Université Paris Sud. (France)

Articles in international peer reviewed journals : 

Proceedings of international conferences (peer reviewed): 

Papers accepted for publication in peer reviewed journals: 

Rute Alexandra Borges de Almeida

Communications in international conferences : 


David Hernando
Raquel Bailón
Rute Almeida
A Hernandez


QRS Detection Optimization in Stress Test Recordings Using Evolutionary Algorithms

Name of the event: 

Computing in Cardiology

Start and end date: 

Sunday, 7 September, 2014 to Wednesday, 10 September, 2014

Location / City: 

Boston, Cambridge, Massachusetts.




Ana Paula Rocha
Rute Almeida
Argentina Leite
Marta João Silva
Maria Eduarda Silva


Long-term HRV in critically ill pediatric patients: comma versus brain death

Name of the event: 

Computing in Cardiology

-- Records of crystals that have nothing to do with the entry --
<<<
1.
# Sm2Ga2Fe15C2 PBE optimized geometry
# - ΔE_f (eV per atom) = 0.147
# - M_tot (μB/atom) = 0.002
data_Sm2Ga2Fe15C2
_cell_length_a 6.516
_cell_length_b 6.516
_cell_length_c 6.579
_cell_angle_alpha 97.17
_cell_angle_beta 97.17
_cell_angle_gamma 83.00
_symmetry_space_group_name_H-M 'P 1'
_symmetry_Int_Tables_number 1
loop_
_symmetry_equiv_pos_as_xyz
'x,y,z'
loop_
_atom_site_label
_atom_site_fract_x
_atom_site_fract_y
_atom_site_fract_z
_atom_site_occupancy
Sm1 0.000 0.000 0.000 1
Sm2 0.688 0.688 0.337 1
Ga1 0.188 0.682 0.331 1
Ga2 0.682 0.188 0.331 1
Fe1 0.002 0.493 0.003 1
Fe2 0.008 0.008 0.532 1
Fe3 0.057 0.337 0.381 1
Fe4 0.063 0.628 0.672 1
Fe5 0.248 0.248 0.763 1
Fe6 0.337 0.057 0.381 1
Fe7 0.342 0.342 0.161 1
Fe8 0.346 0.631 0.957 1
Fe9 0.347 0.845 0.670 1
Fe10 0.440 0.440 0.579 1
Fe11 0.493 0.002 0.003 1
Fe12 0.628 0.063 0.672 1
Fe13 0.631 0.346 0.957 1
Fe14 0.688 0.688 0.814 1
Fe15 0.845 0.347 0.670 1
C1 0.356 0.855 0.159 1
C2 0.855 0.356 0.159 1



2.
# ZrAl8Fe4 PBE optimized geometry
# - ΔE_f (eV per atom) = -0.430
# - M_tot (μB/atom) = 0.341
data_ZrAl8Fe4
_cell_length_a 6.544
_cell_length_b 6.544
_cell_length_c 6.544
_cell_angle_alpha 98.35
_cell_angle_beta 98.35
_cell_angle_gamma 135.21
_symmetry_space_group_name_H-M 'P 1'
_symmetry_Int_Tables_number 1
loop_
_symmetry_equiv_pos_as_xyz
'x,y,z'
loop_
_atom_site_label
_atom_site_fract_x
_atom_site_fract_y
_atom_site_fract_z
_atom_site_occupancy
Zr1 0.000 0.000 0.000 1
Al1 0.000 0.337 0.337 1
Al2 0.000 0.663 0.663 1
Al3 0.282 0.500 0.782 1
Al4 0.337 0.000 0.337 1
Al5 0.500 0.282 0.782 1
Al6 0.500 0.718 0.218 1
Al7 0.663 0.000 0.663 1
Al8 0.718 0.500 0.218 1
Fe1 0.000 0.000 0.500 1
Fe2 0.000 0.500 0.000 1
Fe3 0.500 0.000 0.000 1
Fe4 0.500 0.500 0.500 1



3.
# CaCuP4O12 PBE optimized geometry
# - ΔE_f (eV per atom) = -2.599
# - total energy after the MP2020 corrections (eV/cell) = -267.84
# - M_tot (μB/atom) = 0.056
data_CaCuP4O12
_cell_length_a 7.441
_cell_length_b 7.441
_cell_length_c 10.270
_cell_angle_alpha 111.47
_cell_angle_beta 111.47
_cell_angle_gamma 72.22
_symmetry_space_group_name_H-M 'P 1'
_symmetry_Int_Tables_number 1
loop_
_symmetry_equiv_pos_as_xyz
'x,y,z'
loop_
_atom_site_label
_atom_site_fract_x
_atom_site_fract_y
_atom_site_fract_z
_atom_site_occupancy
Ca1 0.050 0.950 0.750 1
Ca2 0.950 0.050 0.250 1
Cu1 0.000 0.500 0.500 1
Cu2 0.500 0.000 0.000 1
P1 0.270 0.718 0.024 1
P2 0.282 0.730 0.476 1
P3 0.307 0.316 0.809 1
P4 0.316 0.307 0.309 1
P5 0.684 0.693 0.691 1
P6 0.693 0.684 0.191 1
P7 0.718 0.270 0.524 1
P8 0.730 0.282 0.976 1
O1 0.103 0.829 0.086 1
O2 0.131 0.303 0.340 1
O3 0.171 0.897 0.414 1
O4 0.197 0.683 0.572 1
O5 0.198 0.336 0.661 1
O6 0.227 0.501 0.932 1
O7 0.303 0.131 0.840 1
O8 0.317 0.803 0.928 1
O9 0.328 0.534 0.348 1
O10 0.336 0.198 0.161 1
O11 0.466 0.672 0.152 1
O12 0.499 0.773 0.568 1
O13 0.501 0.227 0.432 1
O14 0.534 0.328 0.848 1
O15 0.664 0.802 0.839 1
O16 0.672 0.466 0.652 1
O17 0.683 0.197 0.072 1
O18 0.697 0.869 0.160 1
O19 0.773 0.499 0.068 1
>>>
-- Back to the entry --

Start and end date: 

Sunday, 7 September, 2014 to Wednesday, 10 September, 2014

Location / City: 

Boston, Cambridge, Massachusetts.



Here the piece breaks off for data records
~~~
Record 1
The following is a PBE-GGA calculation of a relaxed structure of Mg19Al4Zn15, from Materials Project.

a b c (Å): 8.6997 8.6997 19.5168
angles (deg): 90.00 90.00 110.05
Closest atoms and distances in Å follow each position.
Positions (direct):
Al 0.7075 0.0860 0.8209  3 Zn 2.62-2.69, 1 Al 2.77
Mg 0.0430 0.6807 0.5238  5 Zn 2.89-3.04, 4 Mg 2.91-3.11, 1 Al 3.05
Mg 0.6807 0.0430 0.9762  5 Zn 2.89-3.04, 4 Mg 2.91-3.11, 1 Al 3.05
Zn 0.0000 0.0000 0.0000  4 Zn 2.68, 8 Mg 2.87-2.99
Mg 0.5209 0.5209 0.6188  5 Zn 2.84-2.99, 4 Mg 3.00-3.03
Mg 0.8214 0.4195 0.6186  4 Zn 2.79-2.96, 2 Al 2.97-3.00, 3 Mg 3.03-3.06
Zn 0.1736 0.4879 0.6120  1 Al 2.64, 3 Zn 2.66-2.79, 4 Mg 2.86-2.94
Mg 0.4241 0.6768 0.2500  5 Zn 2.69-2.97, 1 Mg 2.96
Mg 0.7167 0.7167 0.4756  8 Zn 2.86-3.10, 4 Mg 3.00-3.11
Zn 0.8264 0.5121 0.3880  1 Al 2.64, 3 Zn 2.66-2.79, 4 Mg 2.86-2.94
Mg 0.4791 0.4791 0.3812  5 Zn 2.84-2.99, 4 Mg 3.00-3.03
Zn 0.6314 0.3686 0.5000  2 Zn 2.79, 8 Mg 2.79-3.04
Zn 0.8250 0.0156 0.3889  1 Al 2.62, 4 Zn 2.66-2.72, 2 Mg 2.92-2.94
Zn 0.3686 0.6314 0.0000  2 Zn 2.79, 8 Mg 2.79-3.04
Mg 0.2833 0.2833 0.9756  8 Zn 2.86-3.10, 4 Mg 3.00-3.11
Zn 0.0000 0.0000 0.5000  4 Zn 2.68, 8 Mg 2.87-2.99
Mg 0.6807 0.0430 0.5238  5 Zn 2.89-3.04, 4 Mg 2.91-3.11, 1 Al 3.05
Zn 0.9844 0.1750 0.6111  1 Al 2.62, 4 Zn 2.66-2.72, 2 Mg 2.92-2.94
Al 0.9140 0.2925 0.1791  3 Zn 2.62-2.69, 1 Al 2.77
Zn 0.1750 0.9844 0.6111  1 Al 2.62, 4 Zn 2.66-2.72, 2 Mg 2.92-2.94
Mg 0.1783 0.1783 0.1231  5 Zn 2.92-2.99, 5 Mg 3.00-3.25, 2 Al 3.01
Mg 0.8217 0.8217 0.8769  5 Zn 2.92-2.99, 5 Mg 3.00-3.25, 2 Al 3.01
Mg 0.1783 0.1783 0.3769  5 Zn 2.92-2.99, 5 Mg 3.00-3.25, 2 Al 3.01
Mg 0.0430 0.6807 0.9762  5 Zn 2.89-3.04, 4 Mg 2.91-3.11, 1 Al 3.05
Zn 0.3686 0.6314 0.5000  2 Zn 2.79, 8 Mg 2.79-3.04
Zn 0.0156 0.8250 0.3889  1 Al 2.62, 4 Zn 2.66-2.72, 2 Mg 2.92-2.94
Mg 0.9976 0.9976 0.7500  8 Zn 2.98-3.14, 4 Mg 3.04-3.13, 4 Al 3.19
Zn 0.4879 0.1736 0.6120  1 Al 2.64, 3 Zn 2.66-2.79, 4 Mg 2.86-2.94
Zn 0.2655 0.2655 0.6830  5 Zn 2.62-2.71, 3 Mg 2.84-2.89
Zn 0.5121 0.8264 0.1120  1 Al 2.64, 3 Zn 2.66-2.79, 4 Mg 2.86-2.94
Al 0.2925 0.9140 0.1791  3 Zn 2.62-2.69, 1 Al 2.77
Zn 0.5121 0.8264 0.3880  1 Al 2.64, 3 Zn 2.66-2.79, 4 Mg 2.86-2.94
Mg 0.6768 0.4241 0.2500  5 Zn 2.69-2.97, 1 Mg 2.96
Mg 0.8214 0.4195 0.8814  4 Zn 2.79-2.96, 2 Al 2.97-3.00, 3 Mg 3.03-3.06
Zn 0.8047 0.6237 0.7500  1 Zn 2.58, 2 Al 2.69, 1 Mg 2.69
Mg 0.0209 0.6489 0.2500  4 Mg 2.96-3.13, 4 Al 3.01-3.23, 7 Zn 3.12-3.22
Mg 0.8217 0.8217 0.6231  5 Zn 2.92-2.99, 5 Mg 3.00-3.25, 2 Al 3.01
Zn 0.6237 0.8047 0.7500  1 Zn 2.58, 2 Al 2.69, 1 Mg 2.69
Mg 0.7167 0.7167 0.0244  8 Zn 2.86-3.10, 4 Mg 3.00-3.11
Mg 0.1786 0.5805 0.1186  4 Zn 2.79-2.96, 2 Al 2.97-3.00, 3 Mg 3.03-3.06
Mg 0.3232 0.5759 0.7500  5 Zn 2.69-2.97, 1 Mg 2.96
Mg 0.5209 0.5209 0.8812  5 Zn 2.84-2.99, 4 Mg 3.00-3.03
Mg 0.2833 0.2833 0.5244  8 Zn 2.86-3.10, 4 Mg 3.00-3.11
Zn 0.1953 0.3763 0.2500  1 Zn 2.58, 2 Al 2.69, 1 Mg 2.69
Zn 0.9844 0.1750 0.8889  1 Al 2.62, 4 Zn 2.66-2.72, 2 Mg 2.92-2.94
~~~


Ana Paula Rocha
Rute Almeida


Arfima-Garch Modelling of HRV: Application to Critical Illness (Open communication)

Name of the event: 

Cardiotechnix 2014

Start and end date: 

Saturday, 25 October, 2014 to Sunday, 26 October, 2014

Location / City: 




Talks / Seminars / Courses : 

Como bate o coração no espaço?
Name of the event:
Dias Abertos da FCUP
Rute Almeida
Location / City:

Organization of scientific meetings: 



Name of the event: 

CMUP- WORKSHOP on Signal Processing and Data Analysis: paulo“Point Process Models of Heartbeat Dynamics”, by Riccardo Barbieri

start and end date: 

December 12, 2014



Location / City: 


Organization of regular seminars: 

“Flexible modeling of the screening problem”, by Sandra Ramos from Centro de Estatística e Aplicações da Universidade de Lisboa (CEAUL) and ISEP, 26th June 2014, in the framework of the Seminar Series in Statistics, Modeling and Computational Applications.

Student Mentoring: 

António Paulo Castro Monteiro de Sousa, Auxiliary Prognostic Indexes in Critical Illness, 2017

Editorial activities: 

Collaboration as reviewer with the 36th Annual International Conference of the IEEE Engineering in Medicine and Biology Society (EMBC’14), taking place 26-30 August 21014, at Chicago, EUA. Collaboration as reviewer with the following scientific journals:Medical & Biological Engineering & Computing, IEEE Transactions on Biomedical Engineering, IEEE Journal of Biomedical and Health Informatics,
IEEE Transactions on Biomedical Systems and Circuits, Physiological Measurement, Biomedical Signal Processing & Control, International Journal of Computational Methods, Computers in Biology and Medicine, Healthcare Technology Letters and Computational and Mathematical Methods in Medicine.

Prizes / Distinctions: 

Nominee as one of the best 2014 reviewers of the IEEE Journal of Biomedical and Health Informatics